This edition of the Vulcan Steel Structures e-newsletter contains:

____________
Record 1
Below is an optimized crystal structure of PmMg2Zn2Sn2, with properties calculated at the PBE-GGA level.

```
PmMg2Zn2Sn2
1.0
2.379 1.374 8.068
-2.379 1.374 8.068
0.000 -2.747 8.068
Pm Mg Zn Sn
1 2 2 2
Cartesian
0.000 0.000 0.000
0.000 0.000 3.324
0.000 0.000 20.880
0.000 0.000 10.743
0.000 0.000 13.460
0.000 0.000 6.266
0.000 0.000 17.938
```

***

Record 2
Below is an optimized crystal structure of PmMgZrSn, with properties calculated at the PBE-GGA level.

```
PmMgZrSn
1.0
0.000 3.677 3.677
3.677 0.000 3.677
3.677 3.677 0.000
Pm Mg Zr Sn
1 1 1 1
Cartesian
0.000 0.000 0.000
5.516 5.516 5.516
3.677 3.677 3.677
1.839 1.839 1.839
```

***

Record 3
Below is an optimized crystal structure of SrPm5Mg4, with properties calculated at the PBE-GGA level.

```
SrPm5Mg4
1.0
3.893 0.000 0.000
0.000 3.893 0.000
0.000 0.000 20.905
Sr Pm Mg
1 5 4
Cartesian
0.000 0.000 0.000
1.946 1.946 2.883
1.946 1.946 6.613
1.946 1.946 10.452
1.946 1.946 14.292
1.946 1.946 18.021
0.000 0.000 4.747
0.000 0.000 8.530
0.000 0.000 12.374
0.000 0.000 16.158
```

***

Record 4
SrPm2Mg, optimized geometry, DFT PBE-GGA; ΔE to the lowest computed polymorph = 92.3 meV per atom
1.0
5.115 0.000 0.000
0.000 5.115 0.000
0.000 0.000 5.323
Sr Pm Mg
1 2 1
Cartesian
0.000 0.000 0.000
0.000 2.557 2.661
2.557 0.000 2.661
2.557 2.557 0.000

***

DFT formation energy, respectively: -0.2600, -0.2352, -0.0438, 0.1345 eV/atom.

=====

[1]
VASP calculation (GGA-PBE) on a relaxed AcMgGe2Pt2 crystal.

Geometry as POSCAR:
```
AcMgGe2Pt2
1.0
4.418 0.000 0.000
-2.209 3.826 0.000
0.000 0.000 7.334
Ac Mg Ge Pt
1 1 2 2
Direct
0.000 0.000 0.000 Ac
0.000 0.000 0.500 Mg
0.333 0.667 0.702 Ge
0.667 0.333 0.298 Ge
0.333 0.667 0.319 Pt
0.667 0.333 0.681 Pt
```

Results
- magnetization (μB/f.u.) = 0.00
- ΔE_f (meV/atom) = -870
- final energy (eV per atom) = -5.373
- space group = P-3m1, No. 164

=====

[2]
VASP calculation (GGA-PBE) on a relaxed Ac2MgGe3Pt12 crystal.

Geometry as POSCAR:
```
Ac2MgGe3Pt12
1.0
4.210 2.431 6.223
-4.210 2.431 6.223
0.000 -4.861 6.223
Ac Mg Ge Pt
2 1 3 12
Direct
0.115 0.115 0.115 Ac
0.885 0.885 0.885 Ac
0.500 0.500 0.500 Mg
0.000 0.500 0.500 Ge
0.500 0.000 0.500 Ge
0.500 0.500 0.000 Ge
0.128 0.630 0.630 Pt
0.142 0.142 0.602 Pt
0.142 0.602 0.142 Pt
0.370 0.370 0.872 Pt
0.370 0.872 0.370 Pt
0.398 0.858 0.858 Pt
0.602 0.142 0.142 Pt
0.630 0.128 0.630 Pt
0.630 0.630 0.128 Pt
0.858 0.398 0.858 Pt
0.858 0.858 0.398 Pt
0.872 0.370 0.370 Pt
```

Results
- magnetization (μB/f.u.) = 0.00
- ΔE_f (meV/atom) = -395
- final energy (eV per atom) = -5.737
- space group = R-3m, No. 166

=====

[3]
VASP calculation (GGA-PBE) on a relaxed AcPuMgGe crystal.

Geometry as POSCAR:
```
AcPuMgGe
1.0
0.000 3.829 3.829
3.829 0.000 3.829
3.829 3.829 0.000
Ac Pu Mg Ge
1 1 1 1
Direct
0.000 0.000 0.000 Ac
0.500 0.500 0.500 Pu
0.250 0.250 0.250 Mg
0.750 0.750 0.750 Ge
```

Results
- magnetization (μB/f.u.) = 6.59
- ΔE_f (meV/atom) = -130
- final energy (eV per atom) = -6.293
- space group = F-43m, No. 216
____________

Vulcan’s Gymnasium Project Becomes the Foundation for the Next Generation
While Reeltown (AL) High School’s almost 60-year-old gymnasium was filled with memories of pom poms and game-winning shots, the time had come for a safer facility to pack with new memories and new Rebel fans.
“This is a historic moment and something that will be enjoyed for generations to come. We’re investing in the community when we do projects like this,” said Superintendent Ray Porter. “This is a win-win for the community and for the Tallapoosa County Board of Education.”
The new gym is a 15,900-square-foot building designed by Vulcan Steel Structures that will enhance this neighborhood and keep the school spirit close to home. The old gym could not handle all the sporting events for Reeltown High, forcing Rebel athletes to hold events in other facilities. Now, the Tallapoosa County School District will no longer have to shuttle students to events and can use those funds in other areas. The new gym is just across the street from the old facility and will keep the Rebel fans in the neighborhood, allowing former Rebel students and athletes a moment to reminisce.
This structure has 24-gauge FW-120 Kynar wall panels and 24-gauge SL216 Kynar roof panels. It uses Simple Saver roof and wall insulation and supermarket sidewall columns. First Team Construction Co., Inc. was the general contractor and McKee & Associates was the architect for the project.

-- Next to the page, the page also holds crystal structures --
'''
First-principles (GGA-PBE) data for a geometry-optimized LiScUS4 structure, as listed in the Alexandria database.

abc: 7.5501 7.7085 7.7085
angles: 62.42 60.68 60.68
Atoms (fractional coordinates):
Sc 0.0000 0.0000 0.5000
Sc 0.5000 0.0000 0.5000
S 0.2310 0.7589 0.2589
S 0.2488 0.2411 0.7411
S 0.7690 0.2411 0.7411
S 0.7535 0.2217 0.2714
S 0.2465 0.2286 0.2783
S 0.7512 0.7589 0.2589
S 0.7535 0.7714 0.7217
S 0.2465 0.7783 0.7286
Li 0.3643 0.3857 0.8857
Li 0.6357 0.6143 0.1143
U 0.0000 0.0000 0.0000
U 0.0000 0.5000 0.5000

Summary:
Size of the total moment: 2.0 μB per formula unit
Uncorrected energy: -0.4945 Ry/atom
Crystal system: orthorhombic
'''

Just Like Buildings, Families Can be Built
Tammy Hayes has spent over 20 years building a support system as strong as steel. Hayes is a salesperson for Vulcan and enjoys the relationships with her customers. “A lot of my customers are like family to me,” said Hayes.

Supporting the Adel community has become an important part of the Valdosta native’s life. Hayes is a member of the Ladies Golf Association of Circlestone Country Club. While the association runs many charity events, Hayes is partial to the annual Ladies Breast Cancer tournament. “This tournament means a lot to me since I am a breast cancer survivor,” Hayes revealed.
Hayes and her husband will celebrate their 35th anniversary this year. She’s hoping he’ll treat her to a round of golf (and ensure she doesn’t finish last!).

Industry News
Steel retains an extremely high overall recycle rate because steel scrap is an essential and valuable raw material in making new steel. More than a billion tons of steel have been recycled by the North American steel industry since 1988, according to the Steel Recycling Institute (SRI).